=====
# 1
Entry from the Materials Project database: Cs2RbTbCl6 after structural relaxation (PBE).

Lattice parameters (Å, degrees): 8.1979 8.1979 8.1979 60.00 60.00 60.00
With the nearest neighbours (Å) after each atom.
Element x y z (fractional)
1 Cs 0.7500 0.7500 0.7500  12 Cl 4.11
2 Cs 0.2500 0.2500 0.2500  12 Cl 4.11
3 Cl 0.7711 0.7711 0.2289  1 Tb 2.65
4 Cl 0.7711 0.2289 0.7711  1 Tb 2.65
5 Cl 0.7711 0.2289 0.2289  1 Tb 2.65
6 Cl 0.2289 0.7711 0.2289  1 Tb 2.65
7 Cl 0.2289 0.2289 0.7711  1 Tb 2.65
8 Cl 0.2289 0.7711 0.7711  1 Tb 2.65
9 Tb 0.0000 0.0000 0.0000  6 Cl 2.65
10 Rb 0.5000 0.5000 0.5000  6 Cl 3.14

Electronic total energy ... -39.840 eV for the cell shown
SG ... No. 225
Total moment ... 0.00 μB/f.u.
Energy relative to the elements ... -241.5 kJ/mol of atoms

# 2
Entry from the Materials Project database: KNbO2F after structural relaxation (PBE).

Lattice parameters (Å, degrees): 4.0473 4.0473 4.3400 90.00 90.00 90.00
With the nearest neighbours (Å) after each atom.
Element x y z (fractional)
1 O 0.5000 0.0000 0.5000  2 Nb 2.02
2 O 0.0000 0.5000 0.5000  2 Nb 2.02
3 F 0.5000 0.5000 0.0000  2 Nb 2.17
4 K 0.0000 0.0000 0.0000  4 F 2.86, 8 O 2.97
5 Nb 0.5000 0.5000 0.5000  4 O 2.02, 2 F 2.17

Electronic total energy ... -35.189 eV for the cell shown
SG ... No. 123
Total moment ... 0.43 μB/f.u.
Energy relative to the elements ... -270.2 kJ/mol of atoms

# 3
Entry from the Materials Project database: Zn3Ni after structural relaxation (PBE).

Lattice parameters (Å, degrees): 4.7184 4.7184 4.7184 134.40 134.40 66.46
With the nearest neighbours (Å) after each atom.
Element x y z (fractional)
1 Ni 0.0000 0.0000 0.0000  12 Zn 2.59-2.69
2 Zn 0.5000 0.5000 0.0000  4 Ni 2.59, 8 Zn 2.69
3 Zn 0.7500 0.2500 0.5000  8 Zn 2.59-2.69, 4 Ni 2.69
4 Zn 0.2500 0.7500 0.5000  8 Zn 2.59-2.69, 4 Ni 2.69

Electronic total energy ... -10.236 eV for the cell shown
SG ... No. 139
Energy relative to the elements ... -16.3 kJ/mol of atoms

# 4
Entry from the Materials Project database: TlBr after structural relaxation (PBE).

Lattice parameters (Å, degrees): 6.7171 6.7171 5.0623 90.00 90.00 141.10
With the nearest neighbours (Å) after each atom.
Element x y z (fractional)
1 Br 0.1324 0.8676 0.7500  5 Tl 3.21-3.39
2 Br 0.8676 0.1324 0.2500  5 Tl 3.21-3.39
3 Tl 0.3857 0.6143 0.7500  5 Br 3.21-3.39
4 Tl 0.6143 0.3857 0.2500  5 Br 3.21-3.39

Electronic total energy ... -11.444 eV for the cell shown
SG ... No. 63
Energy relative to the elements ... -108.8 kJ/mol of atoms

# 5
Entry from the Materials Project database: YSeF after structural relaxation (PBE).

Lattice parameters (Å, degrees): 4.1297 10.0273 13.1860 75.04 90.00 90.00
With the nearest neighbours (Å) after each atom.
Element x y z (fractional)
1 Y 0.7500 0.6224 0.3855  3 F 2.30-2.35
2 Y 0.7500 0.4555 0.8735  6 Se 2.85-2.88
3 Y 0.2500 0.3776 0.6145  3 F 2.30-2.35
4 Y 0.7500 0.1165 0.3630  3 F 2.28-2.29
5 Y 0.2500 0.8835 0.6370  3 F 2.28-2.29
6 Y 0.7500 0.9626 0.8784  6 F 2.31-2.48
7 Y 0.2500 0.5445 0.1265  6 Se 2.85-2.88
8 Y 0.2500 0.0374 0.1216  6 F 2.31-2.48
9 F 0.2500 0.9856 0.9606  3 Y 2.31-2.37, 3 F 2.36
10 F 0.2500 0.0952 0.2936  3 Y 2.29-2.48, 2 F 2.43
11 F 0.2500 0.9368 0.7950  3 Y 2.28-2.38, 3 F 2.36-2.43
12 F 0.7500 0.0632 0.2050  3 Y 2.28-2.38, 3 F 2.36-2.43
13 F 0.7500 0.4454 0.5422  3 Y 2.30-2.35, 2 F 2.46
14 F 0.7500 0.0144 0.0394  3 Y 2.31-2.37, 3 F 2.36
15 F 0.2500 0.5546 0.4578  3 Y 2.30-2.35, 2 F 2.46
16 F 0.7500 0.9048 0.7064  3 Y 2.29-2.48, 2 F 2.43
17 Se 0.2500 0.5856 0.7311  4 Y 2.87-2.92
18 Se 0.7500 0.4144 0.2689  4 Y 2.87-2.92
19 Se 0.7500 0.8396 0.4876  4 Y 2.84-2.96, 1 F 3.12
20 Se 0.7500 0.2446 0.7641  4 Y 2.84-2.93, 1 F 3.09
21 Se 0.2500 0.1604 0.5124  4 Y 2.84-2.96, 1 F 3.12
22 Se 0.7500 0.6715 0.9816  4 Y 2.88
23 Se 0.2500 0.7554 0.2359  4 Y 2.84-2.93, 1 F 3.09
24 Se 0.2500 0.3285 0.0184  4 Y 2.88

Electronic total energy ... -163.381 eV for the cell shown
SG ... No. 11
Energy relative to the elements ... -289.7 kJ/mol of atoms

# 6
=====
The reader should retype every line further above that contains the word "Tb".
3 Cl 0.7711 0.7711 0.2289  1 Tb 2.65
4 Cl 0.7711 0.2289 0.7711  1 Tb 2.65
5 Cl 0.7711 0.2289 0.2289  1 Tb 2.65
6 Cl 0.2289 0.7711 0.2289  1 Tb 2.65
7 Cl 0.2289 0.2289 0.7711  1 Tb 2.65
8 Cl 0.2289 0.7711 0.7711  1 Tb 2.65
9 Tb 0.0000 0.0000 0.0000  6 Cl 2.65